Work order
Next, echo the part of the material underneath that starts with the line with "DFT (PBE-GGA)" and stops after the one with "0.338 0.169".
Entries
- - -
DFT (PBE-GGA) results for Na8Tl2Pb after structural relaxation.

Energy of formation from the pure elements (meV per atom): -84.2
Electronic total energy (eV per formula unit): -19.92

a b c (Å): 8.224 8.224 5.318
angles (deg): 90.00 90.00 104.93
Fractional positions:
Na 0.036 0.296 0.500
Na 0.248 0.752 0.000
Na 0.296 0.036 0.500
Na 0.330 0.330 0.000
Na 0.670 0.670 0.000
Na 0.704 0.964 0.500
Na 0.752 0.248 0.000
Na 0.964 0.704 0.500
Tl 0.383 0.617 0.500
Tl 0.617 0.383 0.500
Pb 0.000 0.000 0.000


# Li3TiV3O8, relaxed, DFT GGA+U
data_Li3TiV3O8
_chemical_formula_sum 'Li6 Ti2 V6 O16'
_symmetry_space_group_name_H-M 'P 1'
_symmetry_Int_Tables_number 1
_cell_length_a 5.910
_cell_length_b 5.910
_cell_length_c 9.669
_cell_angle_alpha 90.00
_cell_angle_beta 90.00
_cell_angle_gamma 120.00
loop_
_symmetry_equiv_pos_as_xyz
'x,y,z'
loop_
_atom_site_label
_atom_site_type_symbol
_atom_site_fract_x
_atom_site_fract_y
_atom_site_fract_z
_atom_site_occupancy
Li1 Li 0.175 0.349 0.000 1
Li2 Li 0.175 0.825 0.000 1
Li3 Li 0.349 0.175 0.500 1
Li4 Li 0.651 0.825 0.000 1
Li5 Li 0.825 0.175 0.500 1
Li6 Li 0.825 0.651 0.500 1
Ti1 Ti 0.333 0.667 0.448 1
Ti2 Ti 0.667 0.333 0.948 1
V1 V 0.169 0.338 0.728 1
V2 V 0.169 0.831 0.728 1
V3 V 0.338 0.169 0.228 1
V4 V 0.662 0.831 0.728 1
V5 V 0.831 0.169 0.228 1
V6 V 0.831 0.662 0.228 1
O1 O 0.000 0.000 0.120 1
O2 O 0.000 0.000 0.620 1
O3 O 0.035 0.517 0.597 1
O4 O 0.167 0.334 0.354 1
O5 O 0.167 0.833 0.354 1
O6 O 0.333 0.667 0.843 1
O7 O 0.334 0.167 0.854 1
O8 O 0.483 0.517 0.597 1
O9 O 0.483 0.965 0.597 1
O10 O 0.517 0.035 0.097 1
O11 O 0.517 0.483 0.097 1
O12 O 0.666 0.833 0.354 1
O13 O 0.667 0.333 0.343 1
O14 O 0.833 0.167 0.854 1
O15 O 0.833 0.666 0.854 1
O16 O 0.965 0.483 0.097 1
# Space group ... P6_3mc (186)
# Excess energy over the best structure of this formula in the dataset ... 0.0151 eV/atom


## Ho12Ni6Bi (PBE)

Data for a geometry-optimized Ho12Ni6Bi structure.

extended XYZ file:
```
19
Lattice="-4.8443 4.8443 4.8443 4.8443 -4.8443 4.8443 4.8443 4.8443 -4.8443" Properties=species:S:1:pos:R:3 pbc="T T T"
Ho 4.8443 3.0175 -1.8711
Ho 2.9732 0.0000 1.8268
Ho 6.7154 0.0000 1.8268
Ho 1.8268 2.9732 0.0000
Ho 3.0175 -1.8711 4.8443
Ho 0.0000 1.8268 2.9732
Ho 4.8443 3.0175 1.8711
Ho 1.8268 6.7154 0.0000
Ho 3.0175 1.8711 4.8443
Ho -1.8711 4.8443 3.0175
Ho 1.8711 4.8443 3.0175
Ho 0.0000 1.8268 6.7154
Ni 4.8443 1.1964 0.0000
Ni 4.8443 0.0000 3.6479
Ni 3.6479 4.8443 0.0000
Ni 1.1964 0.0000 4.8443
Ni 0.0000 4.8443 1.1964
Ni 0.0000 3.6479 4.8443
Bi 0.0000 0.0000 0.0000
```

crystal system = cubic
total energy = -0.38792 Ry per atom
space-group type = Im-3, No. 204


Density functional theory data (PBE) for a relaxed LiMoP2 crystal.

Computed properties:
Crystal system   trigonal
Density   4.32 g/cm³
M_tot   0.00 μB per formula unit
DFT total energy   -25.3 eV/cell
Symmetry   R-3m (166)
Formation energy   -0.4233 eV/atom
ΔE to the lowest computed polymorph   0 meV/atom

Cell: 7.4010 7.4010 7.4010 Å, 24.94 24.94 24.94°
Fractional coordinates of all 4 atoms:
Li1 0.0000 0.0000 0.0000
Mo1 0.5000 0.5000 0.5000
P1 0.2424 0.2424 0.2424
P2 0.7576 0.7576 0.7576



Density functional theory data (PBE) for a relaxed Li2MoP crystal.

Computed properties:
Crystal system   tetragonal
Density   4.03 g/cm³
M_tot   0.00 μB per formula unit
DFT total energy   -39.8 eV/cell
Symmetry   I-42d (122)
Formation energy   0.0361 eV/atom

Cell: 9.9064 9.9064 9.9064 Å, 159.79 159.79 28.73°
Fractional coordinates of all 8 atoms:
Li1 0.1106 0.6250 0.9856
Li2 0.3750 0.3606 0.4856
Li3 0.6394 0.1250 0.0144
Li4 0.8750 0.8894 0.5144
Mo1 0.2500 0.7500 0.5000
Mo2 0.5000 0.5000 0.0000
P1 0.0000 0.0000 0.0000
P2 0.7500 0.2500 0.5000



Density functional theory data (PBE) for a relaxed LiMo2P crystal.

Computed properties:
Crystal system   orthorhombic
Density   6.26 g/cm³
M_tot   0.00 μB per formula unit
DFT total energy   -28.6 eV/cell
Symmetry   Cmm2 (35)
Formation energy   0.0961 eV/atom

Cell: 2.7581 2.7581 8.4854 Å, 90.00 90.00 109.12°
- - -
Solution
DFT (PBE-GGA) results for Na8Tl2Pb after structural relaxation.

Energy of formation from the pure elements (meV per atom): -84.2
Electronic total energy (eV per formula unit): -19.92

a b c (Å): 8.224 8.224 5.318
angles (deg): 90.00 90.00 104.93
Fractional positions:
Na 0.036 0.296 0.500
Na 0.248 0.752 0.000
Na 0.296 0.036 0.500
Na 0.330 0.330 0.000
Na 0.670 0.670 0.000
Na 0.704 0.964 0.500
Na 0.752 0.248 0.000
Na 0.964 0.704 0.500
Tl 0.383 0.617 0.500
Tl 0.617 0.383 0.500
Pb 0.000 0.000 0.000


# Li3TiV3O8, relaxed, DFT GGA+U
data_Li3TiV3O8
_chemical_formula_sum 'Li6 Ti2 V6 O16'
_symmetry_space_group_name_H-M 'P 1'
_symmetry_Int_Tables_number 1
_cell_length_a 5.910
_cell_length_b 5.910
_cell_length_c 9.669
_cell_angle_alpha 90.00
_cell_angle_beta 90.00
_cell_angle_gamma 120.00
loop_
_symmetry_equiv_pos_as_xyz
'x,y,z'
loop_
_atom_site_label
_atom_site_type_symbol
_atom_site_fract_x
_atom_site_fract_y
_atom_site_fract_z
_atom_site_occupancy
Li1 Li 0.175 0.349 0.000 1
Li2 Li 0.175 0.825 0.000 1
Li3 Li 0.349 0.175 0.500 1
Li4 Li 0.651 0.825 0.000 1
Li5 Li 0.825 0.175 0.500 1
Li6 Li 0.825 0.651 0.500 1
Ti1 Ti 0.333 0.667 0.448 1
Ti2 Ti 0.667 0.333 0.948 1
V1 V 0.169 0.338 0.728 1
V2 V 0.169 0.831 0.728 1
V3 V 0.338 0.169 0.228 1